(File)
-- begin --
Record 1
Entry from the Materials Project database: a relaxed Y6O5F8 crystal (PBE).

```
Y6O5F8
1.0
5.5168 0.0000 0.0000
0.0734 5.5773 0.0000
0.2337 2.2686 8.4225
Y O F
6 5 8
direct
0.2147 0.9329 0.6528 Y
0.1925 0.5814 0.3390 Y
0.7921 0.7304 0.0028 Y
0.2185 0.1999 0.0227 Y
0.7819 0.3979 0.6865 Y
0.7859 0.0928 0.3453 Y
0.9704 0.7385 0.5181 O
0.9758 0.9087 0.1791 O
0.9864 0.4186 0.1664 O
0.9823 0.0530 0.8421 O
0.0113 0.2485 0.5052 O
0.4423 0.1538 0.7898 F
0.4407 0.8659 0.4327 F
0.4471 0.8324 0.1110 F
0.4433 0.3014 0.2250 F
0.5814 0.7411 0.7390 F
0.0828 0.5599 0.8378 F
0.6354 0.3718 0.9589 F
0.5231 0.3626 0.4951 F
```

- polymorph energy (0 for the lowest one) (kJ/mol of atoms) = 3.8
- size of the total moment (μB per atom) = 0.000
- formation enthalpy at 0 K (eV per formula unit) = -80.38
- E (eV/f.u.) = -152.1



Record 2
Entry from the Materials Project database: a relaxed Y2OF crystal (PBE).

```
Y2OF
1.0
-0.6894 -3.5169 1.0128
1.7929 0.5739 3.2133
-7.3162 2.4821 3.6389
Y O F
2 1 1
direct
0.5000 0.5000 0.2623 Y
0.5000 0.5000 0.7377 Y
0.5000 0.5000 0.5000 O
0.5000 0.5000 0.0000 F
```

- size of the total moment (μB per atom) = 0.224
- formation enthalpy at 0 K (eV per formula unit) = -9.25
- E (eV/f.u.) = -27.9



Record 3
Entry from the Materials Project database: a relaxed Y5O4F7 crystal (PBE).

```
Y5O4F7
1.0
-4.8364 8.6731 -1.3690
-4.6826 -1.6563 6.0499
5.4600 3.4176 2.3626
Y O F
10 8 14
direct
0.2037 0.2207 0.0210 Y
0.1605 0.6711 0.9393 Y
0.7248 0.3673 0.5646 Y
0.3471 0.2968 0.5149 Y
0.4780 0.9505 0.0733 Y
0.6529 0.7968 0.5149 Y
0.5220 0.4505 0.0733 Y
0.2752 0.8673 0.5646 Y
0.8395 0.1711 0.9393 Y
0.7963 0.7207 0.0210 Y
0.4065 0.0002 0.4061 O
0.3121 0.4540 0.9281 O
0.4134 0.2391 0.1701 O
0.2674 0.9216 0.9241 O
0.7326 0.4216 0.9241 O
0.5866 0.7391 0.1701 O
0.5935 0.5002 0.4061 O
0.6879 0.9540 0.9281 O
0.1612 0.2490 0.3423 F
0.9877 0.8598 0.0776 F
0.0178 0.0258 0.8030 F
0.8076 0.2174 0.2697 F
0.7864 0.6494 0.6714 F
0.7554 0.0868 0.5995 F
0.5317 0.3006 0.6953 F
0.4683 0.8006 0.6953 F
0.2446 0.5868 0.5995 F
0.1924 0.7174 0.2697 F
0.2136 0.1494 0.6714 F
0.0123 0.3598 0.0776 F
0.9822 0.5258 0.8030 F
0.8388 0.7490 0.3423 F
```

- polymorph energy (0 for the lowest one) (kJ/mol of atoms) = 18.2
- size of the total moment (μB per atom) = 0.000
- formation enthalpy at 0 K (eV per formula unit) = -65.41
- E (eV/f.u.) = -125.0



Record 4
Entry from the Materials Project database: a relaxed Y7O6F9 crystal (PBE).

```
Y7O6F9
1.0
-0.9296 -19.2168 -4.3344
1.0658 -19.6725 0.8916
-5.1427 -0.1973 1.9464
Y O F
14 12 18
direct
0.6740 0.1136 0.2989 Y
0.8864 0.3260 0.7011 Y
0.1694 0.6186 0.7018 Y
0.3814 0.8306 0.2982 Y
0.5433 0.1037 0.7078 Y
0.8963 0.4567 0.2922 Y
0.0688 0.5784 0.2886 Y
0.4216 0.9312 0.7114 Y
0.5453 0.9559 0.2770 Y
0.0441 0.4547 0.7230 Y
0.7060 0.2234 0.7071 Y
0.7766 0.2940 0.2929 Y
0.2070 0.7224 0.2925 Y
0.2776 0.7930 0.7075 Y
0.4488 0.4076 0.4788 O
0.5924 0.5512 0.5212 O
0.9480 0.9081 0.5209 O
0.0919 0.0520 0.4791 O
0.9793 0.0207 0.5000 O
0.4791 0.5209 0.5000 O
0.3559 0.3577 0.4698 O
0.6423 0.6441 0.5302 O
0.8537 0.8559 0.5292 O
0.1441 0.1463 0.4708 O
0.2995 0.2683 0.4641 O
0.7317 0.7005 0.5359 O
0.8498 0.0208 0.0346 F
0.9792 0.1502 0.9654 F
0.3493 0.5214 0.9643 F
0.4786 0.6507 0.0357 F
0.4867 0.2521 0.9460 F
0.7479 0.5133 0.0540 F
0.9927 0.7474 0.0570 F
0.2526 0.0073 0.9430 F
0.6825 0.9286 0.0900 F
0.0714 0.3175 0.9100 F
0.1734 0.4397 0.9098 F
0.5603 0.8266 0.0902 F
0.4128 0.0852 0.8926 F
0.9148 0.5872 0.1074 F
0.8018 0.7697 0.5482 F
0.2303 0.1982 0.4518 F
0.5824 0.4176 0.0000 F
0.0832 0.9168 0.0000 F
```

- polymorph energy (0 for the lowest one) (kJ/mol of atoms) = 0.0
- size of the total moment (μB per atom) = 0.000
- formation enthalpy at 0 K (eV per formula unit) = -93.80
- E (eV/f.u.) = -177.7



Repeat the first record exactly.
Entry from the Materials Project database: a relaxed Y6O5F8 crystal (PBE).

```
Y6O5F8
1.0
5.5168 0.0000 0.0000
0.0734 5.5773 0.0000
0.2337 2.2686 8.4225
Y O F
6 5 8
direct
-- stop --
(Work order)
Retype the whole of the listing further above exactly, please.
(Response)
Record 1
Entry from the Materials Project database: a relaxed Y6O5F8 crystal (PBE).

```
Y6O5F8
1.0
5.5168 0.0000 0.0000
0.0734 5.5773 0.0000
0.2337 2.2686 8.4225
Y O F
6 5 8
direct
0.2147 0.9329 0.6528 Y
0.1925 0.5814 0.3390 Y
0.7921 0.7304 0.0028 Y
0.2185 0.1999 0.0227 Y
0.7819 0.3979 0.6865 Y
0.7859 0.0928 0.3453 Y
0.9704 0.7385 0.5181 O
0.9758 0.9087 0.1791 O
0.9864 0.4186 0.1664 O
0.9823 0.0530 0.8421 O
0.0113 0.2485 0.5052 O
0.4423 0.1538 0.7898 F
0.4407 0.8659 0.4327 F
0.4471 0.8324 0.1110 F
0.4433 0.3014 0.2250 F
0.5814 0.7411 0.7390 F
0.0828 0.5599 0.8378 F
0.6354 0.3718 0.9589 F
0.5231 0.3626 0.4951 F
```

- polymorph energy (0 for the lowest one) (kJ/mol of atoms) = 3.8
- size of the total moment (μB per atom) = 0.000
- formation enthalpy at 0 K (eV per formula unit) = -80.38
- E (eV/f.u.) = -152.1



Record 2
Entry from the Materials Project database: a relaxed Y2OF crystal (PBE).

```
Y2OF
1.0
-0.6894 -3.5169 1.0128
1.7929 0.5739 3.2133
-7.3162 2.4821 3.6389
Y O F
2 1 1
direct
0.5000 0.5000 0.2623 Y
0.5000 0.5000 0.7377 Y
0.5000 0.5000 0.5000 O
0.5000 0.5000 0.0000 F
```

- size of the total moment (μB per atom) = 0.224
- formation enthalpy at 0 K (eV per formula unit) = -9.25
- E (eV/f.u.) = -27.9



Record 3
Entry from the Materials Project database: a relaxed Y5O4F7 crystal (PBE).

```
Y5O4F7
1.0
-4.8364 8.6731 -1.3690
-4.6826 -1.6563 6.0499
5.4600 3.4176 2.3626
Y O F
10 8 14
direct
0.2037 0.2207 0.0210 Y
0.1605 0.6711 0.9393 Y
0.7248 0.3673 0.5646 Y
0.3471 0.2968 0.5149 Y
0.4780 0.9505 0.0733 Y
0.6529 0.7968 0.5149 Y
0.5220 0.4505 0.0733 Y
0.2752 0.8673 0.5646 Y
0.8395 0.1711 0.9393 Y
0.7963 0.7207 0.0210 Y
0.4065 0.0002 0.4061 O
0.3121 0.4540 0.9281 O
0.4134 0.2391 0.1701 O
0.2674 0.9216 0.9241 O
0.7326 0.4216 0.9241 O
0.5866 0.7391 0.1701 O
0.5935 0.5002 0.4061 O
0.6879 0.9540 0.9281 O
0.1612 0.2490 0.3423 F
0.9877 0.8598 0.0776 F
0.0178 0.0258 0.8030 F
0.8076 0.2174 0.2697 F
0.7864 0.6494 0.6714 F
0.7554 0.0868 0.5995 F
0.5317 0.3006 0.6953 F
0.4683 0.8006 0.6953 F
0.2446 0.5868 0.5995 F
0.1924 0.7174 0.2697 F
0.2136 0.1494 0.6714 F
0.0123 0.3598 0.0776 F
0.9822 0.5258 0.8030 F
0.8388 0.7490 0.3423 F
```

- polymorph energy (0 for the lowest one) (kJ/mol of atoms) = 18.2
- size of the total moment (μB per atom) = 0.000
- formation enthalpy at 0 K (eV per formula unit) = -65.41
- E (eV/f.u.) = -125.0



Record 4
Entry from the Materials Project database: a relaxed Y7O6F9 crystal (PBE).

```
Y7O6F9
1.0
-0.9296 -19.2168 -4.3344
1.0658 -19.6725 0.8916
-5.1427 -0.1973 1.9464
Y O F
14 12 18
direct
0.6740 0.1136 0.2989 Y
0.8864 0.3260 0.7011 Y
0.1694 0.6186 0.7018 Y
0.3814 0.8306 0.2982 Y
0.5433 0.1037 0.7078 Y
0.8963 0.4567 0.2922 Y
0.0688 0.5784 0.2886 Y
0.4216 0.9312 0.7114 Y
0.5453 0.9559 0.2770 Y
0.0441 0.4547 0.7230 Y
0.7060 0.2234 0.7071 Y
0.7766 0.2940 0.2929 Y
0.2070 0.7224 0.2925 Y
0.2776 0.7930 0.7075 Y
0.4488 0.4076 0.4788 O
0.5924 0.5512 0.5212 O
0.9480 0.9081 0.5209 O
0.0919 0.0520 0.4791 O
0.9793 0.0207 0.5000 O
0.4791 0.5209 0.5000 O
0.3559 0.3577 0.4698 O
0.6423 0.6441 0.5302 O
0.8537 0.8559 0.5292 O
0.1441 0.1463 0.4708 O
0.2995 0.2683 0.4641 O
0.7317 0.7005 0.5359 O
0.8498 0.0208 0.0346 F
0.9792 0.1502 0.9654 F
0.3493 0.5214 0.9643 F
0.4786 0.6507 0.0357 F
0.4867 0.2521 0.9460 F
0.7479 0.5133 0.0540 F
0.9927 0.7474 0.0570 F
0.2526 0.0073 0.9430 F
0.6825 0.9286 0.0900 F
0.0714 0.3175 0.9100 F
0.1734 0.4397 0.9098 F
0.5603 0.8266 0.0902 F
0.4128 0.0852 0.8926 F
0.9148 0.5872 0.1074 F
0.8018 0.7697 0.5482 F
0.2303 0.1982 0.4518 F
0.5824 0.4176 0.0000 F
0.0832 0.9168 0.0000 F
```

- polymorph energy (0 for the lowest one) (kJ/mol of atoms) = 0.0
- size of the total moment (μB per atom) = 0.000
- formation enthalpy at 0 K (eV per formula unit) = -93.80
- E (eV/f.u.) = -177.7



Repeat the first record exactly.
Entry from the Materials Project database: a relaxed Y6O5F8 crystal (PBE).

```
Y6O5F8
1.0
5.5168 0.0000 0.0000
0.0734 5.5773 0.0000
0.2337 2.2686 8.4225
Y O F
6 5 8
direct